- - -
Record 1
Computed, not measured: the molecule C3H5N3O at a distorted geometry, with wB97M-V/def2-TZVPD.

Each line ends with the Mulliken charge.
CARTESIAN COORDINATES (ANGSTROEM)
N1 1.2637 1.7037 -0.7234  -0.788
N2 0.5738 0.5834 -0.1936  0.531
C1 1.1251 -0.5420 -0.0019  0.016
C2 0.1752 -1.4125 0.2918  -0.762
C3 -1.0958 -0.6795 0.3810  0.552
O1 -2.2215 -1.0110 1.0538  -0.478
N3 -0.9501 0.5897 -0.1703  -0.712
H1 0.3800 2.0298 -1.2808  0.325
H2 1.5054 2.4729 -0.1209  0.245
H3 2.1569 -0.9333 -0.1950  0.327
H4 -0.0600 -2.4376 0.3690  0.354
H5 -2.8527 -0.3636 0.5904  0.391

Force components x, y, z for each atom (eV/Å):
-3.5363 -0.1894 -3.1178
-2.4581 5.0021 -0.5795
3.0077 -3.7801 -0.6084
-5.8813 -1.3283 1.8938
2.9174 2.6470 -1.2359
-0.9021 1.2411 -2.6323
3.5300 -2.5056 2.4347
2.6866 0.2362 0.6194
-0.4395 -0.2585 1.2399
-0.8389 1.5449 0.1495
1.4164 -1.2886 0.3636
0.4982 -1.3207 1.4730

Values from the calculation:
Energy relative to the best compared isomer or geometry (same formula, charge and spin) (kJ/mol): 430.4
LUMO level (eV): 0.92
Charge: 0
Orbital gap (eV): 9.36

Record 2
Computed, not measured: the molecule C3H5N3O, with wB97M-V/def2-TZVPD.

Each line ends with the Mulliken charge.
CARTESIAN COORDINATES (ANGSTROEM)
H1 -1.3792 -0.1150 2.7151  0.247
N1 -1.0731 -0.0643 1.7440  -0.551
C1 -0.7193 1.1165 1.4553  0.021
N2 -0.2338 1.4956 0.1679  -0.426
N3 -1.1920 0.9080 -0.9969  -0.449
C2 -0.1066 0.3889 -0.7026  0.716
C3 0.9129 -0.6373 -1.0380  -0.314
O1 0.5970 -1.3675 -2.1893  -0.492
H2 -0.7085 1.9634 2.1460  0.357
H3 1.8805 -0.1140 -1.1026  0.250
H4 0.9744 -1.3424 -0.2044  0.315
H5 0.5216 -0.7520 -2.9299  0.325

Force components x, y, z for each atom (eV/Å):
0.0434 -0.0378 -0.1016
0.1381 0.4045 -0.0120
-0.0831 -0.2937 0.1182
0.1392 0.1734 0.2633
0.3950 -0.3472 -0.0766
-0.3699 0.1027 -0.1301
0.0063 0.0722 0.2475
-0.0150 0.1220 -0.2251
-0.0689 -0.0731 -0.0626
-0.1451 -0.0764 -0.0074
-0.0303 0.1063 -0.0573
-0.0097 -0.1529 0.0438

Values from the calculation:
Energy relative to the best compared isomer or geometry (same formula, charge and spin) (kJ/mol): 422.9
LUMO level (eV): 0.71
Charge: 0
Orbital gap (eV): 10.68

Record 3
Computed, not measured: the molecule C3H5N3O, with wB97M-V/def2-TZVPD.

Each line ends with the Mulliken charge.
CARTESIAN COORDINATES (ANGSTROEM)
N1 -0.8672 -0.8557 1.7553  -0.353
C1 -0.2685 -0.1462 0.7731  0.227
C2 -0.8537 0.5683 -1.9561  -0.495
N2 0.3783 0.2513 -1.6302  0.013
C3 0.7663 -0.2580 -0.3334  0.576
O1 1.8619 -0.7607 -0.1865  -0.632
N3 0.2517 1.0363 0.8295  -0.472
H1 -0.9348 -0.4453 2.6833  0.227
H2 -1.2713 -1.7731 1.6438  0.208
H3 -0.8154 0.8003 -3.0396  0.205
H4 1.1816 0.1948 -2.2603  0.275
H5 0.5711 1.3882 1.7212  0.221

Force components x, y, z for each atom (eV/Å):
0.2873 0.0433 -0.2731
0.6654 0.5414 0.3921
0.5275 -0.3017 -0.1353
-0.4241 -0.3030 -0.0239
0.0209 -0.8745 -0.3372
-0.5524 -0.2489 -0.1926
-0.1742 0.3225 0.5680
-0.0034 -0.0385 -0.4665
0.2535 0.2012 -0.3011
-0.0515 0.1041 0.1900
-0.1391 0.1306 0.0715
-0.4098 0.4234 0.5081

Values from the calculation:
Energy relative to the best compared isomer or geometry (same formula, charge and spin) (kJ/mol): 460.3
LUMO level (eV): 0.67
Charge: 0
Orbital gap (eV): 9.27

Record 4
Computed, not measured: the molecule C3H5N3O, with wB97M-V/def2-TZVPD.

Each line ends with the Mulliken charge.
CARTESIAN COORDINATES (ANGSTROEM)
O1 -2.4947 0.7910 0.9880  -0.523
C1 -1.7243 0.2831 -0.0145  -0.309
C2 -0.3976 0.1436 -0.0023  0.429
N1 0.5015 0.2952 1.0782  -0.500
C3 1.6166 -0.1555 0.6394  -0.029
N2 1.6120 -0.6480 -0.6672  -0.289
N3 0.3215 -0.2891 -1.1755  -0.348
H1 -1.9002 1.2247 1.6127  0.324
- - -
Repeat the notes above verbatim.
Record 1
Computed, not measured: the molecule C3H5N3O at a distorted geometry, with wB97M-V/def2-TZVPD.

Each line ends with the Mulliken charge.
CARTESIAN COORDINATES (ANGSTROEM)
N1 1.2637 1.7037 -0.7234  -0.788
N2 0.5738 0.5834 -0.1936  0.531
C1 1.1251 -0.5420 -0.0019  0.016
C2 0.1752 -1.4125 0.2918  -0.762
C3 -1.0958 -0.6795 0.3810  0.552
O1 -2.2215 -1.0110 1.0538  -0.478
N3 -0.9501 0.5897 -0.1703  -0.712
H1 0.3800 2.0298 -1.2808  0.325
H2 1.5054 2.4729 -0.1209  0.245
H3 2.1569 -0.9333 -0.1950  0.327
H4 -0.0600 -2.4376 0.3690  0.354
H5 -2.8527 -0.3636 0.5904  0.391

Force components x, y, z for each atom (eV/Å):
-3.5363 -0.1894 -3.1178
-2.4581 5.0021 -0.5795
3.0077 -3.7801 -0.6084
-5.8813 -1.3283 1.8938
2.9174 2.6470 -1.2359
-0.9021 1.2411 -2.6323
3.5300 -2.5056 2.4347
2.6866 0.2362 0.6194
-0.4395 -0.2585 1.2399
-0.8389 1.5449 0.1495
1.4164 -1.2886 0.3636
0.4982 -1.3207 1.4730

Values from the calculation:
Energy relative to the best compared isomer or geometry (same formula, charge and spin) (kJ/mol): 430.4
LUMO level (eV): 0.92
Charge: 0
Orbital gap (eV): 9.36

Record 2
Computed, not measured: the molecule C3H5N3O, with wB97M-V/def2-TZVPD.

Each line ends with the Mulliken charge.
CARTESIAN COORDINATES (ANGSTROEM)
H1 -1.3792 -0.1150 2.7151  0.247
N1 -1.0731 -0.0643 1.7440  -0.551
C1 -0.7193 1.1165 1.4553  0.021
N2 -0.2338 1.4956 0.1679  -0.426
N3 -1.1920 0.9080 -0.9969  -0.449
C2 -0.1066 0.3889 -0.7026  0.716
C3 0.9129 -0.6373 -1.0380  -0.314
O1 0.5970 -1.3675 -2.1893  -0.492
H2 -0.7085 1.9634 2.1460  0.357
H3 1.8805 -0.1140 -1.1026  0.250
H4 0.9744 -1.3424 -0.2044  0.315
H5 0.5216 -0.7520 -2.9299  0.325

Force components x, y, z for each atom (eV/Å):
0.0434 -0.0378 -0.1016
0.1381 0.4045 -0.0120
-0.0831 -0.2937 0.1182
0.1392 0.1734 0.2633
0.3950 -0.3472 -0.0766
-0.3699 0.1027 -0.1301
0.0063 0.0722 0.2475
-0.0150 0.1220 -0.2251
-0.0689 -0.0731 -0.0626
-0.1451 -0.0764 -0.0074
-0.0303 0.1063 -0.0573
-0.0097 -0.1529 0.0438

Values from the calculation:
Energy relative to the best compared isomer or geometry (same formula, charge and spin) (kJ/mol): 422.9
LUMO level (eV): 0.71
Charge: 0
Orbital gap (eV): 10.68

Record 3
Computed, not measured: the molecule C3H5N3O, with wB97M-V/def2-TZVPD.

Each line ends with the Mulliken charge.
CARTESIAN COORDINATES (ANGSTROEM)
N1 -0.8672 -0.8557 1.7553  -0.353
C1 -0.2685 -0.1462 0.7731  0.227
C2 -0.8537 0.5683 -1.9561  -0.495
N2 0.3783 0.2513 -1.6302  0.013
C3 0.7663 -0.2580 -0.3334  0.576
O1 1.8619 -0.7607 -0.1865  -0.632
N3 0.2517 1.0363 0.8295  -0.472
H1 -0.9348 -0.4453 2.6833  0.227
H2 -1.2713 -1.7731 1.6438  0.208
H3 -0.8154 0.8003 -3.0396  0.205
H4 1.1816 0.1948 -2.2603  0.275
H5 0.5711 1.3882 1.7212  0.221

Force components x, y, z for each atom (eV/Å):
0.2873 0.0433 -0.2731
0.6654 0.5414 0.3921
0.5275 -0.3017 -0.1353
-0.4241 -0.3030 -0.0239
0.0209 -0.8745 -0.3372
-0.5524 -0.2489 -0.1926
-0.1742 0.3225 0.5680
-0.0034 -0.0385 -0.4665
0.2535 0.2012 -0.3011
-0.0515 0.1041 0.1900
-0.1391 0.1306 0.0715
-0.4098 0.4234 0.5081

Values from the calculation:
Energy relative to the best compared isomer or geometry (same formula, charge and spin) (kJ/mol): 460.3
LUMO level (eV): 0.67
Charge: 0
Orbital gap (eV): 9.27

Record 4
Computed, not measured: the molecule C3H5N3O, with wB97M-V/def2-TZVPD.

Each line ends with the Mulliken charge.
CARTESIAN COORDINATES (ANGSTROEM)
O1 -2.4947 0.7910 0.9880  -0.523
C1 -1.7243 0.2831 -0.0145  -0.309
C2 -0.3976 0.1436 -0.0023  0.429
N1 0.5015 0.2952 1.0782  -0.500
C3 1.6166 -0.1555 0.6394  -0.029
N2 1.6120 -0.6480 -0.6672  -0.289
N3 0.3215 -0.2891 -1.1755  -0.348
H1 -1.9002 1.2247 1.6127  0.324